By Rick Riozza
Hold On! Stop the Presses!! Just when you thought you would have to endure the holiday season with the same wine gifts of corkscrews, wine stoppers, and wine bibs (??), along comes the most innovative vino tool one can imagine! Yes—at the tip of your fingers, you’ll be able to savor and absolutely enjoy any wine in your collection without having to pull the cork!
# 1
## Nd2Sn (PBE)

Data for a relaxed structure of Nd2Sn.

The structure in POSCAR format:
```
Nd2Sn
1.0
1.058 4.361 4.551
-4.930 2.837 2.916
-1.319 -1.365 6.103
Nd Sn
4 2
Direct
0.625 0.625 0.625
0.625 0.625 0.125
0.125 0.625 0.625
0.625 0.125 0.625
0.250 0.250 0.250
0.000 0.000 0.000
```

# 2
## NdSn2 (PBE)

Data for a relaxed structure of NdSn2.

The structure in POSCAR format:
```
NdSn2
1.0
0.000 4.388 4.388
4.388 0.000 4.388
4.388 4.388 0.000
Sn Nd
4 2
Direct
0.625 0.625 0.125
0.625 0.125 0.625
0.125 0.625 0.625
0.625 0.625 0.625
0.250 0.250 0.250
0.000 0.000 0.000
```

# 3
## Nd2Sn3 (PBE)

Data for a relaxed structure of Nd2Sn3.

The structure in POSCAR format:
```
Nd2Sn3
1.0
6.440 0.000 0.000
-1.486 8.351 0.000
-1.323 -3.624 10.522
Nd Sn
8 12
Direct
0.959 0.252 0.057
0.332 0.032 0.744
0.041 0.748 0.943
0.668 0.968 0.256
0.875 0.245 0.615
0.557 0.430 0.336
0.443 0.570 0.664
0.125 0.755 0.385
0.047 0.354 0.380
0.677 0.398 0.860
0.953 0.646 0.620
0.176 0.036 0.223
0.438 0.171 0.051
0.642 0.835 0.501
0.222 0.405 0.864
0.824 0.964 0.777
0.562 0.829 0.949
0.323 0.602 0.140
0.358 0.165 0.499
0.778 0.595 0.136
```

M_tot for every record listed, in sequence, given in μB per formula unit: 0.0 0.1 0.0.
Volume for every record listed, in sequence, given in Å³/cell: 184.6 168.9 565.9.
Uncorrected energy for every record listed, in sequence, given in eV/atom: -4.526 -4.610 -5.011.


# BaDy2NiO5

An optimized crystal structure of BaDy2NiO5 (GGA+U, Alexandria via LeMat-Bulk).

The space group is Immm (No. 71) and the conventional cell measures 3.797, 5.809 and 11.431 Å, with angles of 90.00, 90.00 and 90.00 degrees. The distinct sites, in fractional coordinates, are Ba at (0.000, 0.000, 0.000), Dy at (0.000, 0.500, 0.203), Ni at (0.000, 0.000, 0.500), O at (0.000, 0.240, 0.350) and O at (0.000, 0.500, 0.000).

The energy is -7.068 eV/atom. The calculation puts the total magnetization at 2.00 μB/f.u. Its density of states at the Fermi level is 0.00 states/eV per atom.
No—I won’t be giving away some magician’s precious secrets, that’s not me; rather, let me inform the winter wine wonderland of the most amazing wine preserver around. Sure, we’ve played with gadgets that suck air out of the bottle after uncorking and pouring our precious juice, but this handy and light device is eons ahead in technology which allows the cork to remain in place and absolutely intact. It’s truly the gift that will keep on giving!
I’ll go on with some explanation and discussion, but first let us dream of the new age solution to satisfy our vino cravings. Wondering if that 2000 Chateau Margaux is at its prime for relishing? Or, can we peek-in on how our1997 Mascerello Monprivato Barolo Reserva is ageing; for that matter, how’s that ‘77 Dow doing? Or that 2001 Yquem we’ve been yearning? At an instant, we can taste and know the truth—in vino veritas!
Coravin is the name of the apparatus or “System”—if you will, that, as you’ve no doubt gleaned here, allows the quaffer to enjoy any amount of their wine at any time they wish, and, to preserve the remaining amount in the bottle unadulterated and in its pristine condition.
Perhaps difficult to wrap one’s mind around, the device, through a “surgical-type” needle (my words) replaces the flowing & escaping wine with the purest argon gas available; a noble and inert gas that does not react with wine, and has no effect on the taste profile. The System’s technological advances obviously work with the universal elasticity of the cork. And, it includes a proprietary cap that creates a perfect seal in the System, so that even months after initial use, no gas will escape.
Coravin, through their research and development for the past 15 years or so, believes that the best wine preservation system is the bottle and the cork. Since the System keeps the cork in place, wine continues to evolve the same way that it would in an un-accessed bottle. Some of the chemical changes that occur in wine, such as the breakdown of acids, do not require oxygen at all. Others do relate to oxygen that is naturally transmitted across the cork over time. Accessing a bottle with the Coravin System does not impact these chemical changes.
The company has conducted a myriad of blind taste tests of bottles previously accessed with the Coravin System against control bottles from the same case of wine with master sommeliers, masters of wine, and winemakers themselves. Notably, these professionals have not been able to distinguish between previously accessed bottles and untouched controls. Even leading restaurants around the world, such as Morton’s and Capital Grille, now trust their wine-by-the-glass program to the Coravin System.
Recently, the lovely and very knowledgeable Coravin representative, Valerie Seaman, visited our professional wine team (again, whom I’m honored to have joined-up with) at Total Wine & More, Palm Desert. Here we learned all about the System, how to operate the device, and to indeed utilize it in our various wine programs. We have the newest Coravin System on show, and, there is an immediate $50 discount available for all you inquisitive and demanding Christmas shoppers. Come on by, check it out, and enjoy the sights and our vast selection.
And for all of you, whose mind is overwhelmed, please go to www.coravin.com for lively videos and for all the info possible on this product.
Let’s go back to consider some wonderful wine maneuvering ideas with this marvelous machine: like wishing simply to enjoy a glass of wine without opening the entire bottle—morning, noon, or night; at wine tastings or gatherings, where there are several bottles on hand, but no need to open them all; sharing a taste of vintage wine with those who can truly appreciate it & sharing a taste of vintage wine with those you wish to educate and/or impress. And of course, it’s your wine world and you can dip into any bottle you own at your whim & freedom and look forward to appreciating it again. In vino, ibi libertas!
Between two parts of the article: calculated crystals >
/*
Record 1
## MgBeIn2 (GGA-PBE)

Data for crystalline MgBeIn2 at its relaxed geometry.

POSCAR file:
```
MgBeIn2
1.0
4.3886 0.0000 0.0000
0.0000 4.3886 0.0000
0.0000 0.0000 4.1848
Mg Be In
1 1 2
Direct
0.0000 0.0000 0.0000
0.5000 0.5000 0.0000
0.0000 0.5000 0.5000
0.5000 0.0000 0.5000
```

Output
- Space group: No. 123
- Final energy: -9.60 eV for the cell shown
- Energy relative to the elements: 0.30 eV/atom
- N(E_F): 1.354 states/eV/f.u.
- Total magnetization: 0.000 μB per atom
- Distance to the lowest polymorph of the same formula: 70.2 meV/atom

=====

Record 2
## UInSn (GGA-PBE)

Data for crystalline UInSn at its relaxed geometry.

POSCAR file:
```
UInSn
1.0
6.1344 0.0000 0.0000
0.0000 2.9809 0.0000
0.0000 0.0000 8.2289
U In Sn
2 2 2
Direct
0.2500 0.0000 0.1995
0.7500 0.0000 0.8005
0.2500 0.5000 0.8452
0.7500 0.5000 0.1548
0.0000 0.5000 0.5000
0.5000 0.5000 0.5000
```

Output
- Space group: No. 51
- Final energy: -35.99 eV for the cell shown
- Energy relative to the elements: 0.01 eV/atom
- N(E_F): 4.778 states/eV/f.u.
- Total magnetization: 1.003 μB per atom
- Distance to the lowest polymorph of the same formula: 0.0 meV/atom

=====

(1)
First-principles (PBE) data for TaTi3Fe after structural relaxation, as listed in Alexandria via LeMat-Bulk.

energy above the lowest structure with this stoichiometry: 0 kJ/mol of formula units
ΔH_f (0 K): -109 meV per atom
total magnetic moment: 0.00 μB/cell

Cell: 3.010 6.777 8.014 Å, 102.34 100.78 89.98°
Sites, in units of the cell vectors:
Ti: 0.412 0.397 0.083
Ti: 0.418 0.828 0.092
Ti: 0.228 0.732 0.714
Ti: 0.602 0.493 0.462
Ti: 0.617 0.939 0.488
Ti: 0.214 0.285 0.687
Fe: 0.014 0.668 0.286
Fe: 0.816 0.556 0.890
Ta: 0.014 0.160 0.286
Ta: 0.816 0.065 0.890

(2)
First-principles (PBE) data for Ta3TiFe8 after structural relaxation, as listed in Alexandria via LeMat-Bulk.

ΔH_f (0 K): -227 meV per atom
total magnetic moment: 11.03 μB/cell

Cell: 4.806 4.806 8.312 Å, 73.20 73.20 60.00°
Each line ends with the local moment (μB).
Sites, in units of the cell vectors:
Fe: 0.938 0.438 0.687  1.63
Fe: 0.938 0.437 0.188  1.62
Fe: 0.438 0.938 0.687  1.63
*/
Okay—just for you readers, and those still hesitant to believe the good news, I’m going to “coravin” (you heard it first here folks—I’m making it a verb) my 1990 Solaia, this week, for an inquiring taste or two. For some stupid personal reasoning that I’ve forgotten, I’ve yet to open that baby; it’s more than ready and needs to be drunk!
So I’ve promise to take my wife—and the Solaia—to an exquisite local Italian restaurant for that past-due romantic birthday dinner. Unfortunately, to my wife’s consternation, it will have to be next month, because I’m doing this “Coravin Challenge” for you all to see if a well-aged world class wine is affected by the precious puncture. Do I look worried?
So stay tuned for the more-than-promising prospective results, and, by the way, a heart-felt Christmas Cheer to you all!
Rick is your local wine steward and somm-about-town conducting & entertaining at wine events, tastings, and restaurant venues. Contact him at winespectrum@aol.com